# Data
********
Record 1
Below is a 14-piece molecular cluster, C13H40FIO16 overall at a distorted geometry, with properties calculated with the ωB97M-V functional and the def2-TZVPD basis.

Calculated values
strongest force on any atom: 2.5 eV/Å
LUMO energy: -0.0060 Ha
Kohn-Sham gap: 8.70 eV
molar mass: 598.349 g/mol
energy: -57708.739 eV
HOMO level: -8.868 eV
net charge: 0

```
71
Properties=species:S:1:pos:R:3:forces:R:3:lowdin_charge:R:1
C -2.7082 -0.6006 -4.3998 0.55 0.03 0.48 -0.0431
C -2.2712 -0.9242 -2.9880 -0.27 0.33 -0.26 -0.2666
C -2.3412 0.0578 -1.9995 0.34 -0.39 0.38 -0.0281
C -1.9019 -0.2164 -0.7047 0.10 -0.72 -0.59 -0.0481
C -1.3973 -1.4788 -0.4049 0.05 -0.14 0.40 -0.2208
C -0.8746 -1.7764 0.9930 -0.16 0.64 0.17 -0.0651
C 0.6290 -1.9055 0.9206 -0.50 -1.84 -1.55 -0.2878
O 1.3353 -2.1603 2.1431 -0.34 0.08 0.05 0.1135
C 2.6186 -1.8933 1.8462 -0.83 0.69 -0.26 -0.5892
O 3.5645 -2.4571 2.2692 0.87 -0.38 0.93 0.1815
O 2.6559 -0.8550 0.9971 0.41 -0.23 -0.77 -0.0287
C 1.4624 -0.8660 0.1380 1.23 0.86 1.97 -0.6057
I 2.2915 -1.6445 -1.7241 -0.45 -0.02 0.32 1.1275
C 1.0103 0.5953 0.1730 -0.15 0.23 -0.75 -0.1323
C 1.0528 1.2517 -1.1844 0.04 0.04 0.16 -0.2405
F 0.5610 2.5711 -1.1104 -0.21 0.06 0.27 -0.0693
C -1.3575 -2.4774 -1.3803 -0.32 0.63 -0.29 -0.0544
C -1.7957 -2.1936 -2.6703 0.24 0.01 0.59 -0.0403
H -3.4233 -1.3327 -4.7594 -0.17 0.04 -0.16 0.0779
H -1.8334 -0.6096 -5.0474 0.03 -0.13 -0.20 0.0795
H -3.1049 0.4082 -4.4368 -0.31 0.02 -0.10 0.0722
H -2.7124 1.0473 -2.2183 -0.13 0.07 -0.12 0.1102
H -1.9354 0.5153 0.0790 -0.16 0.25 0.00 0.0746
H -1.3130 -2.7113 1.3310 0.21 -0.22 0.17 0.1335
H -1.1854 -1.0130 1.7029 -0.01 0.18 -0.06 0.1005
H 0.7780 -2.8334 0.3609 -0.01 -0.07 -0.09 0.1120
H 0.0390 0.7114 0.6390 -0.14 -0.19 -0.03 0.0973
H 1.7164 1.1253 0.7930 0.17 -0.02 0.23 0.1030
H 0.4728 0.7314 -1.9328 -0.07 -0.05 -0.15 0.0759
H 2.0889 1.3505 -1.4801 0.11 -0.08 -0.35 0.0915
H -0.9902 -3.4635 -1.1375 0.05 -0.13 0.04 0.1140
H -1.7371 -2.9692 -3.4195 -0.08 -0.01 -0.19 0.1132
O 3.6328 -3.7032 5.0667 -0.30 -0.24 0.09 -0.0545
H 4.0345 -4.5506 4.8497 0.12 0.05 -0.03 0.0462
H 3.4640 -3.2977 4.2050 0.09 0.07 -0.14 0.0063
O -2.0295 0.9961 2.4672 -0.29 -0.04 0.05 -0.0589
H -1.2677 1.4630 2.8324 0.10 0.07 -0.06 0.0255
H -2.7115 1.0886 3.1522 0.32 0.05 0.00 0.0195
O 0.0696 3.3316 -3.8911 -0.12 0.40 0.07 -0.0488
H -0.0127 3.2540 -2.9282 0.17 -0.26 -0.08 0.0247
H 0.8526 3.8827 -4.0074 0.10 -0.12 0.07 0.0560
O 1.7825 0.7983 -3.9513 0.35 -0.03 -0.57 -0.1102
H 2.7256 0.8931 -4.1305 0.01 0.06 0.10 0.0497
H 1.3639 1.2285 -4.7075 -0.18 0.05 0.15 0.0479
O -1.1207 6.1058 -3.7726 0.07 -0.02 0.10 -0.0681
H -0.8310 6.4502 -4.6218 -0.03 0.02 0.00 0.0316
H -0.7838 5.1978 -3.7493 -0.16 0.00 -0.16 -0.0150
O 3.3993 3.7103 -0.1498 0.02 -0.37 0.13 -0.0592
H 3.2376 4.0108 0.7484 0.06 0.08 -0.01 0.0259
H 2.5129 3.6250 -0.5254 -0.01 0.32 -0.10 -0.0122
O -3.4845 2.3867 4.4139 -0.17 0.17 0.06 -0.0423
H -3.4892 2.7106 5.3199 0.02 -0.10 0.03 0.0551
H -4.0086 3.0276 3.9213 0.03 -0.01 -0.02 0.0567
O -4.0034 1.7999 0.1551 -0.24 0.21 0.16 -0.0529
H -3.6468 1.6562 1.0408 0.21 -0.06 -0.07 0.0033
H -4.7666 1.2170 0.0966 0.03 -0.01 -0.04 0.0477
O 0.9529 -5.3545 5.7648 0.06 -0.16 0.17 -0.0531
H 1.7352 -4.8053 5.6242 0.10 0.22 -0.17 0.0123
H 1.1409 -5.8320 6.5791 0.02 0.07 0.03 0.0468
O 2.6882 -2.0240 -5.4329 0.12 -0.01 0.08 -0.0770
H 2.7034 -2.8580 -4.9535 -0.01 -0.03 -0.06 0.0224
H 2.6743 -1.3483 -4.7449 -0.24 0.06 -0.05 -0.0466
O 1.2327 5.3585 -1.1475 -0.20 -0.04 0.11 -0.0520
H 0.2969 5.2154 -0.9668 -0.03 0.02 -0.09 0.0433
H 1.4359 6.1815 -0.6924 0.09 0.04 -0.11 0.0513
O -1.4113 -7.0675 5.4652 0.07 -0.01 -0.01 -0.0685
H -0.6239 -6.5118 5.3672 -0.09 0.05 -0.05 -0.0112
H -1.2577 -7.5767 6.2653 -0.03 -0.02 -0.01 0.0244
O 1.0221 1.7578 3.0392 -0.03 0.00 0.23 -0.0320
H 1.7215 2.3965 2.8683 -0.05 0.04 -0.03 0.0488
H 1.3762 1.2022 3.7425 -0.05 -0.04 -0.01 0.0593
```
Positions in Å, forces in eV/Å.

=====

Record 2
********

# Brief
Next, start at the top of the block above and quote each line, ending with the one that has "-0.01 -0.02".

# Result
Record 1
Below is a 14-piece molecular cluster, C13H40FIO16 overall at a distorted geometry, with properties calculated with the ωB97M-V functional and the def2-TZVPD basis.

Calculated values
strongest force on any atom: 2.5 eV/Å
LUMO energy: -0.0060 Ha
Kohn-Sham gap: 8.70 eV
molar mass: 598.349 g/mol
energy: -57708.739 eV
HOMO level: -8.868 eV
net charge: 0

```
71
Properties=species:S:1:pos:R:3:forces:R:3:lowdin_charge:R:1
C -2.7082 -0.6006 -4.3998 0.55 0.03 0.48 -0.0431
C -2.2712 -0.9242 -2.9880 -0.27 0.33 -0.26 -0.2666
C -2.3412 0.0578 -1.9995 0.34 -0.39 0.38 -0.0281
C -1.9019 -0.2164 -0.7047 0.10 -0.72 -0.59 -0.0481
C -1.3973 -1.4788 -0.4049 0.05 -0.14 0.40 -0.2208
C -0.8746 -1.7764 0.9930 -0.16 0.64 0.17 -0.0651
C 0.6290 -1.9055 0.9206 -0.50 -1.84 -1.55 -0.2878
O 1.3353 -2.1603 2.1431 -0.34 0.08 0.05 0.1135
C 2.6186 -1.8933 1.8462 -0.83 0.69 -0.26 -0.5892
O 3.5645 -2.4571 2.2692 0.87 -0.38 0.93 0.1815
O 2.6559 -0.8550 0.9971 0.41 -0.23 -0.77 -0.0287
C 1.4624 -0.8660 0.1380 1.23 0.86 1.97 -0.6057
I 2.2915 -1.6445 -1.7241 -0.45 -0.02 0.32 1.1275
C 1.0103 0.5953 0.1730 -0.15 0.23 -0.75 -0.1323
C 1.0528 1.2517 -1.1844 0.04 0.04 0.16 -0.2405
F 0.5610 2.5711 -1.1104 -0.21 0.06 0.27 -0.0693
C -1.3575 -2.4774 -1.3803 -0.32 0.63 -0.29 -0.0544
C -1.7957 -2.1936 -2.6703 0.24 0.01 0.59 -0.0403
H -3.4233 -1.3327 -4.7594 -0.17 0.04 -0.16 0.0779
H -1.8334 -0.6096 -5.0474 0.03 -0.13 -0.20 0.0795
H -3.1049 0.4082 -4.4368 -0.31 0.02 -0.10 0.0722
H -2.7124 1.0473 -2.2183 -0.13 0.07 -0.12 0.1102
H -1.9354 0.5153 0.0790 -0.16 0.25 0.00 0.0746
H -1.3130 -2.7113 1.3310 0.21 -0.22 0.17 0.1335
H -1.1854 -1.0130 1.7029 -0.01 0.18 -0.06 0.1005
H 0.7780 -2.8334 0.3609 -0.01 -0.07 -0.09 0.1120
H 0.0390 0.7114 0.6390 -0.14 -0.19 -0.03 0.0973
H 1.7164 1.1253 0.7930 0.17 -0.02 0.23 0.1030
H 0.4728 0.7314 -1.9328 -0.07 -0.05 -0.15 0.0759
H 2.0889 1.3505 -1.4801 0.11 -0.08 -0.35 0.0915
H -0.9902 -3.4635 -1.1375 0.05 -0.13 0.04 0.1140
H -1.7371 -2.9692 -3.4195 -0.08 -0.01 -0.19 0.1132
O 3.6328 -3.7032 5.0667 -0.30 -0.24 0.09 -0.0545
H 4.0345 -4.5506 4.8497 0.12 0.05 -0.03 0.0462
H 3.4640 -3.2977 4.2050 0.09 0.07 -0.14 0.0063
O -2.0295 0.9961 2.4672 -0.29 -0.04 0.05 -0.0589
H -1.2677 1.4630 2.8324 0.10 0.07 -0.06 0.0255
H -2.7115 1.0886 3.1522 0.32 0.05 0.00 0.0195
O 0.0696 3.3316 -3.8911 -0.12 0.40 0.07 -0.0488
H -0.0127 3.2540 -2.9282 0.17 -0.26 -0.08 0.0247
H 0.8526 3.8827 -4.0074 0.10 -0.12 0.07 0.0560
O 1.7825 0.7983 -3.9513 0.35 -0.03 -0.57 -0.1102
H 2.7256 0.8931 -4.1305 0.01 0.06 0.10 0.0497
H 1.3639 1.2285 -4.7075 -0.18 0.05 0.15 0.0479
O -1.1207 6.1058 -3.7726 0.07 -0.02 0.10 -0.0681
H -0.8310 6.4502 -4.6218 -0.03 0.02 0.00 0.0316
H -0.7838 5.1978 -3.7493 -0.16 0.00 -0.16 -0.0150
O 3.3993 3.7103 -0.1498 0.02 -0.37 0.13 -0.0592
H 3.2376 4.0108 0.7484 0.06 0.08 -0.01 0.0259
H 2.5129 3.6250 -0.5254 -0.01 0.32 -0.10 -0.0122
O -3.4845 2.3867 4.4139 -0.17 0.17 0.06 -0.0423
H -3.4892 2.7106 5.3199 0.02 -0.10 0.03 0.0551
H -4.0086 3.0276 3.9213 0.03 -0.01 -0.02 0.0567